== Assignment ==
Now retype the part of the lines underneath that starts with the line with "0.0271 0.9851" and stops after the one with "W16 0.7161".

== Material ==
/*
Entry 1:
VASP calculation (GGA+U) on a geometry-optimized WO3 structure.

## Properties
total moment	0.00	μB/cell

```
data_WO3
_chemical_formula_sum 'W4 O12'
_cell_length_a 3.8803
_cell_length_b 7.6759
_cell_length_c 7.7884
_cell_angle_alpha 90.00
_cell_angle_beta 90.08
_cell_angle_gamma 90.00
_space_group_name_H-M_alt 'P 1 21/m 1'
_space_group_IT_number 11
loop_
_space_group_symop_operation_xyz
'x,y,z'
'-x,-y,-z'
'-x,y+1/2,-z'
'x,-y+1/2,z'
loop_
_atom_site_label
_atom_site_fract_x
_atom_site_fract_y
_atom_site_fract_z
W1 0.0300 0.2500 0.4791
W2 0.0323 0.2500 0.9790
O1 0.0000 0.0000 0.0000
O2 0.0000 0.0000 0.5000
O3 0.0036 0.2500 0.2426
O4 0.0060 0.2500 0.7428
O5 0.4905 0.7500 0.0078
O6 0.4922 0.7500 0.5080
```


Entry 2:
VASP calculation (GGA+U) on a geometry-optimized WO2 structure.

## Properties
total moment	32.00	μB/cell

```
data_WO2
_chemical_formula_sum 'W16 O32'
_cell_length_a 5.7031
_cell_length_b 5.7284
_cell_length_c 20.3178
_cell_angle_alpha 89.56
_cell_angle_beta 89.44
_cell_angle_gamma 70.03
_space_group_name_H-M_alt 'P 1'
_space_group_IT_number 1
loop_
_space_group_symop_operation_xyz
'x,y,z'
loop_
_atom_site_label
_atom_site_fract_x
_atom_site_fract_y
_atom_site_fract_z
W1 0.0000 0.0000 0.0000
W2 0.0004 0.4822 0.6196
W3 0.0007 0.9699 0.7379
W4 0.0065 0.9839 0.4995
W5 0.0106 0.4887 0.3803
W6 0.0271 0.9851 0.2611
W7 0.0283 0.5052 0.1283
W8 0.2084 0.6825 0.8704
W9 0.4976 0.9817 0.6181
W10 0.5005 0.4778 0.7388
W11 0.5067 0.4826 0.4993
W12 0.5075 0.5044 0.2611
W13 0.5115 0.9890 0.3797
W14 0.5184 0.9947 0.8679
W15 0.5243 0.4759 0.0001
W16 0.7161 0.1918 0.1326
O1 0.0653 0.1555 0.0881
O2 0.1330 0.5997 0.7751
O3 0.1512 0.1300 0.5729
O4 0.1541 0.6309 0.5460
O5 0.1558 0.6350 0.3077
O6 0.1604 0.1387 0.3356
O7 0.1651 0.6423 0.0460
O8 0.1686 0.0306 0.8254
O9 0.3439 0.8320 0.6915
O10 0.3450 0.3320 0.6645
O11 0.3603 0.8368 0.4532
O12 0.3614 0.3374 0.4261
O13 0.3631 0.8386 0.9487
O14 0.3669 0.8427 0.2228
O15 0.3750 0.3740 0.1749
O16 0.3906 0.3500 0.9145
O17 0.5588 0.6428 0.8252
O18 0.6315 0.1095 0.0388
O19 0.6529 0.1216 0.7881
O20 0.6528 0.1307 0.5457
O21 0.6568 0.6266 0.5737
O22 0.6604 0.6385 0.3356
O23 0.6615 0.1401 0.3030
O24 0.6795 0.5406 0.0881
O25 0.8395 0.8392 0.6654
O26 0.8464 0.3351 0.6959
O27 0.8576 0.3354 0.4537
O28 0.8599 0.8386 0.4262
O29 0.8646 0.3385 0.9627
O30 0.8699 0.3457 0.2101
O31 0.8730 0.8655 0.9143
O32 0.8970 0.8519 0.1748
```


Number 1: DFT formation energy -2.184 eV per atom, total DFT energy (no corrections) -120.150 eV/cell. Number 2: DFT formation energy -1.905 eV per atom, total DFT energy (no corrections) -364.117 eV/cell.

=====

Entry 1:
Na3YGaP3O12 after structural relaxation. Source: Materials Project, functional PBE-GGA.

Cell and atoms, written as POSCAR:
```
Na3YGaP3O12
1.0
-14.795 -4.454 -3.185
-0.386 -4.417 7.884
2.327 7.608 4.353
Na Y Ga P O
12 4 4 12 48
direct
0.241 0.774 0.996
0.750 0.723 0.509
0.751 0.271 0.011
0.240 0.224 0.494
0.504 0.097 0.763
0.501 0.911 0.238
0.005 0.608 0.753
0.999 0.385 0.240
0.818 0.933 0.218
0.814 0.072 0.714
0.301 0.430 0.192
0.311 0.561 0.723
0.106 0.762 0.555
0.603 0.261 0.557
0.397 0.749 0.442
0.607 0.740 0.058
0.900 0.750 0.946
0.901 0.251 0.449
0.100 0.245 0.048
0.395 0.253 0.941
0.998 0.962 0.754
0.996 0.054 0.235
0.490 0.434 0.749
0.489 0.550 0.230
0.358 0.910 0.775
0.663 0.891 0.752
0.657 0.113 0.248
0.348 0.108 0.242
0.864 0.402 0.758
0.146 0.385 0.748
0.144 0.596 0.232
0.861 0.594 0.259
0.156 0.557 0.745
0.860 0.575 0.764
0.856 0.422 0.260
0.148 0.423 0.223
0.673 0.062 0.749
0.348 0.081 0.770
0.341 0.937 0.234
0.667 0.941 0.245
0.427 0.525 0.573
0.548 0.538 0.911
0.543 0.456 0.400
0.431 0.450 0.059
0.929 0.055 0.576
0.059 0.064 0.918
0.066 0.964 0.407
0.926 0.950 0.070
0.270 0.827 0.767
0.754 0.816 0.761
0.751 0.181 0.259
0.253 0.182 0.224
0.772 0.332 0.748
0.241 0.320 0.760
0.234 0.661 0.230
0.770 0.667 0.250
0.360 0.867 0.611
0.666 0.858 0.921
0.661 0.144 0.419
0.360 0.159 0.092
0.865 0.363 0.591
0.146 0.354 0.916
0.158 0.628 0.413
*/

== Solution ==
W6 0.0271 0.9851 0.2611
W7 0.0283 0.5052 0.1283
W8 0.2084 0.6825 0.8704
W9 0.4976 0.9817 0.6181
W10 0.5005 0.4778 0.7388
W11 0.5067 0.4826 0.4993
W12 0.5075 0.5044 0.2611
W13 0.5115 0.9890 0.3797
W14 0.5184 0.9947 0.8679
W15 0.5243 0.4759 0.0001
W16 0.7161 0.1918 0.1326